Input
********
109
Properties=species:S:1:pos:R:3:mulliken_charge:R:1 method="wB97M-V/def2-TZVPD" e_above_lowest_kcal_mol=0.0 energy_ha=-4296.3620 charge=-2 orbital_gap_ha=0.246 largest_force_ha_per_bohr=0.034
K -20.738 8.559 -6.368 0.59
C -21.324 9.888 -0.156 -1.41
C -21.561 9.061 -1.356 0.68
C -22.136 7.812 -1.448 -1.21
C -22.102 7.497 -2.823 -0.71
N -21.542 8.485 -3.503 0.22
N -21.200 9.440 -2.604 1.00
B -20.480 10.769 -2.946 -1.36
N -21.303 11.747 -3.894 0.91
N -21.347 11.603 -5.252 -0.09
C -22.166 12.546 -5.727 -0.21
C -22.673 13.302 -4.633 -1.51
C -22.088 12.775 -3.511 0.86
C -22.168 13.249 -2.088 -1.31
C -22.402 12.727 -7.189 2.91
C -21.588 11.752 -7.991 -0.98
C -23.916 12.501 -7.467 -1.81
C -22.024 14.166 -7.522 -1.98
N -19.011 10.570 -3.443 0.52
N -18.677 10.113 -4.683 0.54
C -17.385 10.352 -4.851 -0.43
C -16.843 10.908 -3.665 -0.88
C -17.900 11.055 -2.811 0.54
C -17.896 11.626 -1.449 -1.45
C -16.693 10.009 -6.139 2.83
C -15.249 10.517 -6.084 -2.40
C -17.455 10.669 -7.300 -1.41
C -16.634 8.490 -6.274 -1.76
C -22.640 6.267 -3.500 3.28
C -23.285 5.374 -2.433 -2.50
C -23.705 6.650 -4.545 -1.84
C -21.460 5.437 -4.088 -1.93
H -21.658 9.397 0.757 0.34
H -21.879 10.803 -0.241 0.15
H -20.292 10.164 -0.030 0.12
H -22.568 7.239 -0.649 0.55
H -20.402 11.419 -1.914 -0.34
H -23.354 14.145 -4.578 0.40
H -22.779 14.139 -2.099 0.38
H -21.179 13.515 -1.705 0.16
H -22.603 12.511 -1.415 0.13
H -21.898 10.694 -7.781 -0.39
H -20.525 11.818 -7.763 0.13
H -21.791 11.937 -9.046 0.49
H -24.239 11.508 -7.250 0.28
H -24.155 12.684 -8.534 0.45
H -24.506 13.216 -6.893 0.36
H -20.969 14.315 -7.289 0.36
H -22.602 14.887 -6.925 0.32
H -22.185 14.372 -8.566 0.49
H -15.792 11.176 -3.502 0.42
H -16.865 11.817 -1.172 0.37
H -18.355 10.920 -0.740 0.13
H -18.469 12.562 -1.400 0.18
H -15.207 11.595 -5.913 0.46
H -14.680 10.292 -7.008 0.37
H -14.715 10.022 -5.275 0.42
H -17.518 11.770 -7.174 0.38
H -18.494 10.310 -7.382 0.02
H -16.973 10.427 -8.254 0.44
H -16.169 8.055 -5.409 0.51
H -16.112 8.107 -7.176 0.38
H -17.632 8.084 -6.333 0.08
H -24.102 5.898 -1.912 0.45
H -22.542 5.105 -1.687 0.47
H -23.703 4.495 -2.925 0.43
H -24.488 7.244 -4.024 0.37
H -24.168 5.778 -4.983 0.47
H -23.308 7.276 -5.340 0.25
H -20.750 5.215 -3.298 0.52
H -20.926 6.007 -4.840 0.22
H -21.768 4.482 -4.519 0.50
S -16.491 3.157 -8.519 -0.58
P -17.762 3.787 -7.169 0.87
S -18.762 5.505 -7.407 -0.44
C -16.959 3.801 -5.509 -0.14
C -17.104 4.848 -4.620 -0.01
C -16.637 4.764 -3.303 -0.79
C -16.069 3.585 -2.875 -0.39
C -15.888 2.528 -3.775 -0.62
C -16.320 2.618 -5.089 -0.42
C -18.996 2.429 -6.949 -0.08
C -19.438 1.727 -8.065 -0.28
C -20.517 0.861 -8.015 -0.75
C -21.102 0.589 -6.775 -0.27
C -20.698 1.287 -5.646 -0.72
C -19.662 2.209 -5.742 -0.01
H -17.617 5.729 -4.962 0.35
H -16.750 5.619 -2.659 0.49
H -15.755 3.498 -1.855 0.38
H -15.459 1.594 -3.429 0.34
H -16.180 1.826 -5.786 0.41
H -18.917 1.852 -9.020 0.27
H -20.860 0.320 -8.888 0.36
H -21.898 -0.135 -6.684 0.35
H -21.181 1.091 -4.704 0.39
H -19.365 2.784 -4.879 0.33
F -27.244 8.711 -10.946 -0.35
C -26.135 8.734 -10.181 0.57
C -26.224 8.885 -8.825 0.30
F -27.435 9.108 -8.274 -0.35
C -25.119 8.849 -8.043 0.10
F -25.287 8.999 -6.706 -0.43
C -23.823 8.628 -8.537 -0.16
O -22.793 8.598 -7.814 -0.38
C -23.756 8.486 -9.964 0.18
F -22.572 8.289 -10.599 -0.34
C -24.896 8.493 -10.747 0.25
F -24.814 8.291 -12.080 -0.34

---

103
Properties=species:S:1:pos:R:3:mulliken_charge:R:1 method="wB97M-V/def2-TZVPD" e_above_lowest_kcal_mol=53.4 energy_ha=-5185.7836 charge=+2 orbital_gap_ha="0.142 / 0.143" largest_force_ha_per_bohr=0.080
Tl -0.022 -0.793 1.239 0.88
C 2.400 2.105 2.756 -1.02
O 2.363 1.121 1.745 0.02
C 3.456 0.928 0.969 1.01
C 4.586 1.736 1.169 -0.68
C 5.605 1.774 0.200 -0.59
C 5.526 0.882 -0.871 -0.83
C 4.481 -0.011 -0.994 -0.39
C 3.337 0.058 -0.136 -0.32
N 2.429 -0.979 -0.117 0.81
N 2.864 -2.025 -0.765 -0.37
C 2.097 -3.008 -1.292 0.45
C 0.700 -2.832 -1.597 0.47
O -0.037 -2.035 -0.968 -0.23
C 0.227 -3.651 -2.722 -1.16
C 0.749 -4.896 -2.884 -0.70
********
Activity
It remains to give back all of the notes further up exactly.
Outcome
109
Properties=species:S:1:pos:R:3:mulliken_charge:R:1 method="wB97M-V/def2-TZVPD" e_above_lowest_kcal_mol=0.0 energy_ha=-4296.3620 charge=-2 orbital_gap_ha=0.246 largest_force_ha_per_bohr=0.034
K -20.738 8.559 -6.368 0.59
C -21.324 9.888 -0.156 -1.41
C -21.561 9.061 -1.356 0.68
C -22.136 7.812 -1.448 -1.21
C -22.102 7.497 -2.823 -0.71
N -21.542 8.485 -3.503 0.22
N -21.200 9.440 -2.604 1.00
B -20.480 10.769 -2.946 -1.36
N -21.303 11.747 -3.894 0.91
N -21.347 11.603 -5.252 -0.09
C -22.166 12.546 -5.727 -0.21
C -22.673 13.302 -4.633 -1.51
C -22.088 12.775 -3.511 0.86
C -22.168 13.249 -2.088 -1.31
C -22.402 12.727 -7.189 2.91
C -21.588 11.752 -7.991 -0.98
C -23.916 12.501 -7.467 -1.81
C -22.024 14.166 -7.522 -1.98
N -19.011 10.570 -3.443 0.52
N -18.677 10.113 -4.683 0.54
C -17.385 10.352 -4.851 -0.43
C -16.843 10.908 -3.665 -0.88
C -17.900 11.055 -2.811 0.54
C -17.896 11.626 -1.449 -1.45
C -16.693 10.009 -6.139 2.83
C -15.249 10.517 -6.084 -2.40
C -17.455 10.669 -7.300 -1.41
C -16.634 8.490 -6.274 -1.76
C -22.640 6.267 -3.500 3.28
C -23.285 5.374 -2.433 -2.50
C -23.705 6.650 -4.545 -1.84
C -21.460 5.437 -4.088 -1.93
H -21.658 9.397 0.757 0.34
H -21.879 10.803 -0.241 0.15
H -20.292 10.164 -0.030 0.12
H -22.568 7.239 -0.649 0.55
H -20.402 11.419 -1.914 -0.34
H -23.354 14.145 -4.578 0.40
H -22.779 14.139 -2.099 0.38
H -21.179 13.515 -1.705 0.16
H -22.603 12.511 -1.415 0.13
H -21.898 10.694 -7.781 -0.39
H -20.525 11.818 -7.763 0.13
H -21.791 11.937 -9.046 0.49
H -24.239 11.508 -7.250 0.28
H -24.155 12.684 -8.534 0.45
H -24.506 13.216 -6.893 0.36
H -20.969 14.315 -7.289 0.36
H -22.602 14.887 -6.925 0.32
H -22.185 14.372 -8.566 0.49
H -15.792 11.176 -3.502 0.42
H -16.865 11.817 -1.172 0.37
H -18.355 10.920 -0.740 0.13
H -18.469 12.562 -1.400 0.18
H -15.207 11.595 -5.913 0.46
H -14.680 10.292 -7.008 0.37
H -14.715 10.022 -5.275 0.42
H -17.518 11.770 -7.174 0.38
H -18.494 10.310 -7.382 0.02
H -16.973 10.427 -8.254 0.44
H -16.169 8.055 -5.409 0.51
H -16.112 8.107 -7.176 0.38
H -17.632 8.084 -6.333 0.08
H -24.102 5.898 -1.912 0.45
H -22.542 5.105 -1.687 0.47
H -23.703 4.495 -2.925 0.43
H -24.488 7.244 -4.024 0.37
H -24.168 5.778 -4.983 0.47
H -23.308 7.276 -5.340 0.25
H -20.750 5.215 -3.298 0.52
H -20.926 6.007 -4.840 0.22
H -21.768 4.482 -4.519 0.50
S -16.491 3.157 -8.519 -0.58
P -17.762 3.787 -7.169 0.87
S -18.762 5.505 -7.407 -0.44
C -16.959 3.801 -5.509 -0.14
C -17.104 4.848 -4.620 -0.01
C -16.637 4.764 -3.303 -0.79
C -16.069 3.585 -2.875 -0.39
C -15.888 2.528 -3.775 -0.62
C -16.320 2.618 -5.089 -0.42
C -18.996 2.429 -6.949 -0.08
C -19.438 1.727 -8.065 -0.28
C -20.517 0.861 -8.015 -0.75
C -21.102 0.589 -6.775 -0.27
C -20.698 1.287 -5.646 -0.72
C -19.662 2.209 -5.742 -0.01
H -17.617 5.729 -4.962 0.35
H -16.750 5.619 -2.659 0.49
H -15.755 3.498 -1.855 0.38
H -15.459 1.594 -3.429 0.34
H -16.180 1.826 -5.786 0.41
H -18.917 1.852 -9.020 0.27
H -20.860 0.320 -8.888 0.36
H -21.898 -0.135 -6.684 0.35
H -21.181 1.091 -4.704 0.39
H -19.365 2.784 -4.879 0.33
F -27.244 8.711 -10.946 -0.35
C -26.135 8.734 -10.181 0.57
C -26.224 8.885 -8.825 0.30
F -27.435 9.108 -8.274 -0.35
C -25.119 8.849 -8.043 0.10
F -25.287 8.999 -6.706 -0.43
C -23.823 8.628 -8.537 -0.16
O -22.793 8.598 -7.814 -0.38
C -23.756 8.486 -9.964 0.18
F -22.572 8.289 -10.599 -0.34
C -24.896 8.493 -10.747 0.25
F -24.814 8.291 -12.080 -0.34

---

103
Properties=species:S:1:pos:R:3:mulliken_charge:R:1 method="wB97M-V/def2-TZVPD" e_above_lowest_kcal_mol=53.4 energy_ha=-5185.7836 charge=+2 orbital_gap_ha="0.142 / 0.143" largest_force_ha_per_bohr=0.080
Tl -0.022 -0.793 1.239 0.88
C 2.400 2.105 2.756 -1.02
O 2.363 1.121 1.745 0.02
C 3.456 0.928 0.969 1.01
C 4.586 1.736 1.169 -0.68
C 5.605 1.774 0.200 -0.59
C 5.526 0.882 -0.871 -0.83
C 4.481 -0.011 -0.994 -0.39
C 3.337 0.058 -0.136 -0.32
N 2.429 -0.979 -0.117 0.81
N 2.864 -2.025 -0.765 -0.37
C 2.097 -3.008 -1.292 0.45
C 0.700 -2.832 -1.597 0.47
O -0.037 -2.035 -0.968 -0.23
C 0.227 -3.651 -2.722 -1.16
C 0.749 -4.896 -2.884 -0.70